== Brief ==
Transcribe the lines further down without additions, please.

== Listing ==
-- begin --
Formula: C31H39BiN3O
Source: OMol25
Level of theory: ωB97M-V/def2-TZVPD

```
75
Properties=species:S:1:pos:R:3:forces:R:3
Bi -0.024 -0.255 0.401 1.546 -1.624 0.817
N 0.949 -3.280 3.448 -2.084 0.053 -0.059
N -0.022 -3.177 -1.255 2.337 3.440 -1.211
C 1.356 2.255 0.538 -0.074 0.242 1.567
C 2.393 1.296 0.830 -1.342 -0.052 0.486
C 2.306 0.983 2.225 -0.791 0.679 -0.342
C 3.171 0.037 2.972 0.264 -0.293 0.341
H 4.101 -0.152 2.425 -0.032 -0.013 0.126
H 2.675 -0.933 3.128 0.062 0.188 -0.046
H 3.435 0.449 3.957 0.060 -0.097 -0.145
C 1.227 1.718 2.777 0.635 -0.709 -0.965
C 0.789 1.666 4.193 0.031 -0.073 0.522
H 1.335 2.401 4.808 -0.172 -0.085 -0.010
H 0.987 0.677 4.630 -0.115 0.184 -0.071
H -0.283 1.881 4.295 0.161 -0.032 0.043
C 0.649 2.515 1.752 0.886 -0.697 -1.587
C -0.523 3.408 1.900 -0.308 0.379 0.192
H -1.344 2.917 2.449 0.130 0.197 -0.077
H -0.917 3.719 0.924 0.048 -0.021 0.211
H -0.237 4.317 2.455 -0.299 -0.079 -0.093
C 3.462 0.873 -0.107 0.621 -0.015 -0.224
H 4.302 1.589 -0.071 -0.045 -0.199 -0.113
H 3.116 0.843 -1.152 0.086 -0.036 0.232
H 3.862 -0.114 0.161 -0.089 0.177 -0.161
C 1.091 2.873 -0.787 0.067 0.218 -0.285
H 0.028 3.131 -0.910 0.250 0.013 -0.032
H 1.351 2.191 -1.610 -0.050 0.151 0.060
H 1.692 3.790 -0.910 -0.241 -0.119 -0.198
C 0.080 -3.699 4.377 0.673 -0.792 0.001
H 0.455 -3.543 5.446 -0.601 -0.701 -1.357
C -1.178 -4.312 4.093 -0.388 0.501 -1.188
H -1.816 -4.690 4.904 0.336 0.203 -0.423
C -1.604 -4.377 2.699 0.622 0.670 2.138
H -2.553 -4.865 2.457 0.364 -0.048 -0.029
C -0.861 -3.680 1.758 0.239 -0.344 0.297
H -0.994 -3.737 0.663 -0.239 0.191 0.848
C 0.342 -3.009 2.190 -1.615 -2.788 3.380
C 0.910 -1.997 1.556 2.677 3.755 -4.366
H 1.851 -2.284 0.970 -0.770 0.926 1.014
C -0.215 -1.828 -1.377 -0.407 -2.146 -2.920
C 0.800 -3.511 -2.371 -0.263 -1.339 1.512
H 1.474 -4.390 -2.123 -1.213 0.814 -1.314
C 0.844 -2.551 -3.346 -0.804 -0.999 0.735
H 1.276 -2.697 -4.370 -0.920 0.478 1.461
N 0.097 -1.478 -2.798 0.810 -1.280 1.595
C -0.059 -0.224 -3.390 0.330 1.181 -0.671
C 1.011 0.288 -4.156 -0.062 1.177 -0.369
C 0.878 1.514 -4.872 -0.834 -0.975 0.755
H 1.701 1.873 -5.521 -0.577 -0.232 0.550
C -0.321 2.240 -4.755 -0.352 -0.333 0.427
C -0.541 3.482 -5.569 0.158 -0.042 0.163
H -1.075 4.220 -4.967 0.081 0.103 -0.213
H -1.128 3.265 -6.469 0.087 0.082 0.103
H 0.435 3.867 -5.863 -0.127 0.295 -0.145
C -1.345 1.804 -3.884 1.068 -1.305 -0.121
H -2.265 2.395 -3.740 0.540 -0.303 -0.159
C -1.229 0.542 -3.232 0.061 0.877 -0.247
C -2.362 0.064 -2.381 -1.059 0.067 0.247
H -2.542 -1.014 -2.477 0.267 0.184 0.101
H -3.290 0.559 -2.712 0.231 -0.041 0.082
H -2.267 0.298 -1.301 0.099 -0.134 -0.657
C 2.343 -0.391 -4.145 1.096 -0.290 -0.531
H 2.321 -1.398 -4.580 0.228 0.747 0.095
H 2.769 -0.515 -3.131 -0.352 0.123 -0.368
H 3.067 0.169 -4.754 -0.182 0.095 0.290
C -4.622 -0.071 1.723 -0.718 0.111 -0.330
C -3.154 -0.185 1.961 1.404 0.861 -1.340
C -2.748 -0.839 3.226 0.339 -0.125 0.293
O -2.335 0.271 1.132 -2.406 -0.850 1.675
H -5.089 -1.065 1.707 0.228 0.092 0.008
H -4.849 0.434 0.779 0.176 -0.072 0.169
H -5.114 0.467 2.543 0.211 -0.037 -0.078
H -1.657 -0.861 3.359 -0.312 -0.070 -0.090
H -3.221 -0.292 4.056 0.132 -0.217 -0.133
H -3.145 -1.864 3.221 0.205 0.157 0.132
```
Forces are in eV/Å.

Properties
net charge	-1
F_max	6.4	eV/Å
total energy	-1658.565403	a.u.
energy above the lowest of the compared OMol25 structures with the same formula, charge and spin	5.29	kcal per mole
M	678.7	g mol⁻¹
LUMO level (spin up / spin down)	0.08849 / 0.08851	hartree

Partial atomic charges computed with the Mulliken method, in multiples of e:
1 Bi 0.951
2 N -0.510
3 N -0.205
4 C 0.345
5 C 0.370
6 C 0.621
7 C -1.551
8 H 0.404
9 H 0.098
10 H 0.424
11 C 0.898
12 C -1.791
13 H 0.297
14 H 0.371
15 H 0.395
16 C 0.446
17 C -1.661
18 H 0.215
19 H 0.360
20 H 0.310
21 C -1.387
22 H 0.327
23 H 0.061
24 H 0.452
25 C -1.091
26 H 0.293
-- stop --

== Solution ==
Formula: C31H39BiN3O
Source: OMol25
Level of theory: ωB97M-V/def2-TZVPD

```
75
Properties=species:S:1:pos:R:3:forces:R:3
Bi -0.024 -0.255 0.401 1.546 -1.624 0.817
N 0.949 -3.280 3.448 -2.084 0.053 -0.059
N -0.022 -3.177 -1.255 2.337 3.440 -1.211
C 1.356 2.255 0.538 -0.074 0.242 1.567
C 2.393 1.296 0.830 -1.342 -0.052 0.486
C 2.306 0.983 2.225 -0.791 0.679 -0.342
C 3.171 0.037 2.972 0.264 -0.293 0.341
H 4.101 -0.152 2.425 -0.032 -0.013 0.126
H 2.675 -0.933 3.128 0.062 0.188 -0.046
H 3.435 0.449 3.957 0.060 -0.097 -0.145
C 1.227 1.718 2.777 0.635 -0.709 -0.965
C 0.789 1.666 4.193 0.031 -0.073 0.522
H 1.335 2.401 4.808 -0.172 -0.085 -0.010
H 0.987 0.677 4.630 -0.115 0.184 -0.071
H -0.283 1.881 4.295 0.161 -0.032 0.043
C 0.649 2.515 1.752 0.886 -0.697 -1.587
C -0.523 3.408 1.900 -0.308 0.379 0.192
H -1.344 2.917 2.449 0.130 0.197 -0.077
H -0.917 3.719 0.924 0.048 -0.021 0.211
H -0.237 4.317 2.455 -0.299 -0.079 -0.093
C 3.462 0.873 -0.107 0.621 -0.015 -0.224
H 4.302 1.589 -0.071 -0.045 -0.199 -0.113
H 3.116 0.843 -1.152 0.086 -0.036 0.232
H 3.862 -0.114 0.161 -0.089 0.177 -0.161
C 1.091 2.873 -0.787 0.067 0.218 -0.285
H 0.028 3.131 -0.910 0.250 0.013 -0.032
H 1.351 2.191 -1.610 -0.050 0.151 0.060
H 1.692 3.790 -0.910 -0.241 -0.119 -0.198
C 0.080 -3.699 4.377 0.673 -0.792 0.001
H 0.455 -3.543 5.446 -0.601 -0.701 -1.357
C -1.178 -4.312 4.093 -0.388 0.501 -1.188
H -1.816 -4.690 4.904 0.336 0.203 -0.423
C -1.604 -4.377 2.699 0.622 0.670 2.138
H -2.553 -4.865 2.457 0.364 -0.048 -0.029
C -0.861 -3.680 1.758 0.239 -0.344 0.297
H -0.994 -3.737 0.663 -0.239 0.191 0.848
C 0.342 -3.009 2.190 -1.615 -2.788 3.380
C 0.910 -1.997 1.556 2.677 3.755 -4.366
H 1.851 -2.284 0.970 -0.770 0.926 1.014
C -0.215 -1.828 -1.377 -0.407 -2.146 -2.920
C 0.800 -3.511 -2.371 -0.263 -1.339 1.512
H 1.474 -4.390 -2.123 -1.213 0.814 -1.314
C 0.844 -2.551 -3.346 -0.804 -0.999 0.735
H 1.276 -2.697 -4.370 -0.920 0.478 1.461
N 0.097 -1.478 -2.798 0.810 -1.280 1.595
C -0.059 -0.224 -3.390 0.330 1.181 -0.671
C 1.011 0.288 -4.156 -0.062 1.177 -0.369
C 0.878 1.514 -4.872 -0.834 -0.975 0.755
H 1.701 1.873 -5.521 -0.577 -0.232 0.550
C -0.321 2.240 -4.755 -0.352 -0.333 0.427
C -0.541 3.482 -5.569 0.158 -0.042 0.163
H -1.075 4.220 -4.967 0.081 0.103 -0.213
H -1.128 3.265 -6.469 0.087 0.082 0.103
H 0.435 3.867 -5.863 -0.127 0.295 -0.145
C -1.345 1.804 -3.884 1.068 -1.305 -0.121
H -2.265 2.395 -3.740 0.540 -0.303 -0.159
C -1.229 0.542 -3.232 0.061 0.877 -0.247
C -2.362 0.064 -2.381 -1.059 0.067 0.247
H -2.542 -1.014 -2.477 0.267 0.184 0.101
H -3.290 0.559 -2.712 0.231 -0.041 0.082
H -2.267 0.298 -1.301 0.099 -0.134 -0.657
C 2.343 -0.391 -4.145 1.096 -0.290 -0.531
H 2.321 -1.398 -4.580 0.228 0.747 0.095
H 2.769 -0.515 -3.131 -0.352 0.123 -0.368
H 3.067 0.169 -4.754 -0.182 0.095 0.290
C -4.622 -0.071 1.723 -0.718 0.111 -0.330
C -3.154 -0.185 1.961 1.404 0.861 -1.340
C -2.748 -0.839 3.226 0.339 -0.125 0.293
O -2.335 0.271 1.132 -2.406 -0.850 1.675
H -5.089 -1.065 1.707 0.228 0.092 0.008
H -4.849 0.434 0.779 0.176 -0.072 0.169
H -5.114 0.467 2.543 0.211 -0.037 -0.078
H -1.657 -0.861 3.359 -0.312 -0.070 -0.090
H -3.221 -0.292 4.056 0.132 -0.217 -0.133
H -3.145 -1.864 3.221 0.205 0.157 0.132
```
Forces are in eV/Å.

Properties
net charge	-1
F_max	6.4	eV/Å
total energy	-1658.565403	a.u.
energy above the lowest of the compared OMol25 structures with the same formula, charge and spin	5.29	kcal per mole
M	678.7	g mol⁻¹
LUMO level (spin up / spin down)	0.08849 / 0.08851	hartree

Partial atomic charges computed with the Mulliken method, in multiples of e:
1 Bi 0.951
2 N -0.510
3 N -0.205
4 C 0.345
5 C 0.370
6 C 0.621
7 C -1.551
8 H 0.404
9 H 0.098
10 H 0.424
11 C 0.898
12 C -1.791
13 H 0.297
14 H 0.371
15 H 0.395
16 C 0.446
17 C -1.661
18 H 0.215
19 H 0.360
20 H 0.310
21 C -1.387
22 H 0.327
23 H 0.061
24 H 0.452
25 C -1.091
26 H 0.293